Over 7 Million Americans Are at Least 3 Months Behind on Car Payment, Study Says

Car owners aged 18 to 29 are among the highest defaulters.

It’s no secret that Americans love cars. We find something that is marketed to fit our every need and desire, and then roll the debt from our previous upside-down auto loan into a new car payment for 96 months at 5-percent interest. Exaggerations aside, the number of defunct auto loans is the highest it’s ever been, according to a report from the Federal Reserve Bank of New York, topping over 7 million borrowers who are more than 90 days past-due on their auto note.

For the 18th year in a row, Americans are taking out more auto loans than ever. In fact, borrowers took out a staggering $584 billion in auto loans and leases, an increase of 3 percent from 2017’s $569 billion. This has amassed to create a stockpile of borrowers that the NY Fed is calling the “highest quality” that it has observed since it began monitoring auto loan statistics in 2000. Consequently, it also represents an increase in subprime auto loan borrowers with low credit scores, and as a result, a larger pool of higher risk borrowers.

Unsurprisingly, loans taken out by borrowers with subprime credit scores (below 620) have been tied to serious delinquency. More than 8 percent of borrowers with credit scores below this threshold were found to be defaulting their repayment obligations. But perhaps one of the most interesting statistics that shaped theories in the report was the age factor. More than 4 percent of borrowers aged 18 to 29 were marked as being delinquent on their loan repayment.

Data shows that delinquency among borrowers with low credit scores are beginning to approach levels observed during the 2008 recession., via New York Fed Consumer Credit Panel / Equifax

........
First-principles (PBE-GGA) data for crystalline PuNO at its relaxed geometry, as listed in Alexandria.

Cell lengths 3.654, 3.654, 6.142 Å; angles 91.16, 91.16, 70.83 degrees
Fractional coordinates of all 6 atoms:
O  0.312  0.312  0.633
O  0.688  0.688  0.367
Pu  0.684  0.684  0.750
Pu  0.316  0.316  0.250
N  0.160  0.840  0.000
N  0.840  0.160  0.000

Calculated values
total energy	-11.1037	eV/atom
density of states at the Fermi level	10.7	states/eV/cell

First-principles (PBE-GGA) data for crystalline Sr3Pu2N4O2 at its relaxed geometry, as listed in Alexandria.

Cell lengths 4.274, 4.274, 10.762 Å; angles 101.45, 101.45, 90.00 degrees
Fractional coordinates of all 11 atoms:
O  0.300  0.300  0.600
O  0.700  0.700  0.400
Sr  0.817  0.817  0.634
Sr  0.000  0.000  0.000
Sr  0.183  0.183  0.366
N  0.089  0.589  0.179
N  0.589  0.089  0.179
N  0.411  0.911  0.821
N  0.911  0.411  0.821
Pu  0.597  0.597  0.194
Pu  0.403  0.403  0.806

Calculated values
total energy	-8.5404	eV/atom
density of states at the Fermi level	7.9	states/eV/cell

=====

Compound: ThMn2Ni6
Source: the Alexandria database
Functional: GGA-PBE
Structure: relaxed

Cell lengths 3.931, 7.145, 9.456 Å; angles 90.00, 90.00, 90.00 degrees
Space group Immm (No. 71)
Asymmetric unit:
Th (0.000, 0.000, 0.000) [2 per cell]
Mn (0.000, 0.500, 0.142) [4 per cell]
Ni (0.000, 0.169, 0.244) [8 per cell]
Ni (0.000, 0.175, 0.500) [4 per cell]

Results
DFT formation energy (eV/atom): 0.068
DOS(E_F) (states/eV/f.u.): 8.02

Compound: ThMn2Ni5
Source: the Alexandria database
Functional: GGA-PBE
Structure: relaxed

Cell lengths 3.756, 6.571, 9.397 Å; angles 90.00, 90.00, 90.00 degrees
Space group Immm (No. 71)
Asymmetric unit:
Th (0.000, 0.000, 0.000) [2 per cell]
Mn (0.000, 0.500, 0.245) [4 per cell]
Ni (0.000, 0.188, 0.366) [8 per cell]
Ni (0.000, 0.500, 0.000) [2 per cell]

Results
DFT formation energy (eV/atom): -0.059
DOS(E_F) (states/eV/f.u.): 4.93

Compound: ThMnNi5
Source: the Alexandria database
Functional: GGA-PBE
Structure: relaxed

Cell lengths 7.988, 4.894, 10.094 Å; angles 90.00, 90.00, 90.00 degrees
Space group Pnma (No. 62)
Asymmetric unit:
Th (0.248, 0.250, 0.058) [4 per cell]
Mn (0.143, 0.750, 0.855) [4 per cell]
Ni (0.052, 0.750, 0.096) [4 per cell]
Ni (0.066, 0.005, 0.307) [8 per cell]
Ni (0.100, 0.250, 0.517) [4 per cell]
Ni (0.187, 0.250, 0.752) [4 per cell]

Results
DFT formation energy (eV/atom): -0.282
DOS(E_F) (states/eV/f.u.): 6.07

=====

An optimized crystal structure of LiGa2Ni, computed with PBE-GGA. Values from VASP.

The structure in Quantum ESPRESSO input format:
```
&SYSTEM
  ibrav = 0, nat = 24, ntyp = 3
/
ATOMIC_SPECIES
Li 6.94 Li.upf
Ga 69.72 Ga.upf
Ni 58.69 Ni.upf
CELL_PARAMETERS angstrom
-3.7770 1.1524 1.3694
-2.4488 -4.3738 -3.0736
1.2498 -7.6409 9.8775
ATOMIC_POSITIONS crystal
Li 0.0000 0.5000 0.0000
Li 0.9997 0.5000 0.3333
Li 0.0003 0.5000 0.6667
Li 0.5003 0.0000 0.8333
Li 0.4997 0.0000 0.1667
Li 0.5000 0.0000 0.5000
Ga 0.0002 0.7502 0.8334
........
Here the article continues.

The report continues to suggest that the youth of America and those with undeveloped credit are having the most hardship when repaying vehicle loans. Perhaps, questions the Washington Post, the data suggests that new graduates are having difficulty juggling student loan repayment with that of an auto loan.

However, defunct auto loans could be an early signal of financial distress amongst low-income and working-class Americans. During Tesla’s fourth-quarter earnings call, both financial analysts and CEO Elon Musk discussed the potential fallout on new automobile sales should a predicted recession take place in 2019.

Another avenue to explore is that automobiles are simply increasing in price. Costs associated with buying new cars could also be at play. In 2018, the average price tag for light vehicles in the United States increased 2.1 percent from the previous year, perhaps driven by an uptick in costs associated with SUV sales. In all, the average Joe will find him or herself paying, on average, $35,444 for a brand new vehicle, plus an average national interest rate of 5.2 percent. At the same time, Americans are also holding on to their older vehicles for a record amount of time. Data from Euromonitor International shows that the average on-road vehicle is 11.6 years old.

Whatever the cause, many financial advisers seem to suggest that when buying a new vehicle, consumers should shop for the automobile and financing separately and avoid predatory buy-here-pay-here loans with high interest rates.